Material =
/*
No. 1
A molecular structure, C27H32N4O7S, computed with the ωB97M-V functional and the def2-TZVPD basis.

The geometry in XYZ format:
```
71
Properties=species:S:1:pos:R:3:forces:R:3
C 0.97170 -4.56479 1.31706 1.0 -2.6 0.0
O -0.11514 -4.63199 0.25804 2.9 -2.5 3.1
C -0.46855 -3.43971 -0.17311 2.2 7.9 -0.1
C -1.76945 -3.39178 -0.95448 0.4 5.1 0.2
H -2.06784 -2.32528 -1.57202 1.6 -2.8 1.8
C -2.81464 -3.63059 0.04291 -2.3 -1.7 0.5
N -2.95039 -2.51081 1.12061 0.7 -6.5 -12.4
C -2.86512 -2.96778 2.19159 -0.1 1.3 14.0
O -2.67878 -4.05049 2.70321 0.2 -1.1 -0.3
C -2.95634 -1.69379 3.24007 3.0 -0.3 -1.5
H -3.38637 -2.10066 4.10948 -1.2 0.3 1.2
H -1.77592 -1.58195 3.46635 -2.9 0.4 -0.5
S -3.66223 -0.04182 2.43985 1.7 -3.3 2.4
C -2.02697 0.46011 1.96241 -5.0 3.9 -1.5
N -1.01135 -0.17167 1.85266 7.1 -3.4 1.8
C 0.26996 0.48926 1.67316 -4.6 -0.2 -2.5
C 0.14026 1.86487 1.15135 12.8 -5.5 2.4
C 1.47683 2.43223 0.84229 -1.4 -16.0 6.0
C 2.53115 1.45803 0.91344 2.5 7.4 -1.6
C 2.62008 0.26596 1.45861 -0.6 -3.8 -0.4
C 1.39026 -0.35142 1.58763 1.3 -1.9 3.8
H 1.52629 -1.36992 2.15634 -1.4 1.7 -1.5
O 3.88228 -0.31403 1.44679 -0.9 2.0 1.3
C 4.78332 0.85104 1.15008 -8.2 -6.5 -13.8
O 3.90864 1.76928 0.50292 -2.2 1.5 1.5
H 5.17210 0.48225 0.12766 1.5 0.3 2.4
H 5.26349 1.21265 1.81168 6.3 4.2 9.1
H 1.49173 3.21096 0.44910 1.0 12.6 -6.1
C -0.93148 2.54337 1.00194 -8.7 -0.6 0.1
O -1.13396 3.58190 0.46977 0.0 2.8 -1.0
N -2.11595 1.68902 1.38161 -1.1 5.0 -1.1
C -3.43440 2.50230 1.17965 0.4 -2.1 6.3
H -3.17467 3.50802 1.20450 0.7 1.7 -0.3
C -4.31096 2.11909 0.09599 1.1 -7.9 -1.3
H -5.15007 2.71043 0.05459 -2.1 1.1 -0.1
H -4.52013 0.78936 0.37995 -0.4 4.2 -1.0
C -3.54232 1.99271 -1.32775 2.6 3.4 7.3
C -2.40796 0.94513 -1.00172 1.4 -1.4 -7.1
O -2.62377 -0.19927 -0.68924 -0.5 -0.3 1.6
N -1.21848 1.11192 -1.94443 -5.8 5.0 3.2
H -1.37534 2.11550 -2.29767 1.5 -2.3 0.3
C -0.16729 0.21214 -2.06177 -6.0 -0.2 -6.2
C 1.10854 0.76115 -2.21766 -6.0 7.5 0.3
C 1.36254 2.16644 -2.26471 4.8 -4.7 -0.9
C 2.80725 2.39373 -2.35904 -11.7 10.5 0.5
C 3.55855 1.46448 -2.17649 12.3 -4.9 0.2
C 3.27444 0.19284 -2.10560 1.5 -7.0 0.2
C 1.89365 -0.18261 -2.09528 12.2 -9.7 -0.4
H 1.81374 -1.43151 -2.20340 -0.8 3.8 0.7
H 4.33209 -0.60068 -2.11624 -3.8 2.4 0.2
O 5.04477 1.69196 -2.22239 -1.4 -0.2 0.9
C 5.44048 3.04598 -2.15570 -3.6 0.9 3.0
H 4.98996 3.50761 -3.03649 0.7 0.8 0.1
H 6.46956 3.15726 -1.95823 1.3 -0.2 -0.5
H 4.94862 3.62335 -1.08071 1.1 -1.5 -3.1
H 2.99016 3.41863 -2.07446 0.9 0.3 -0.9
H 0.59374 2.82967 -2.36388 -1.5 1.9 0.0
H -0.42205 -0.56512 -1.45526 0.3 -2.1 2.4
H -0.52647 -0.40209 -3.18955 1.5 1.2 2.5
H -3.01904 3.01767 -0.95166 -0.7 -1.5 -3.1
H -4.27646 1.95209 -2.08526 0.1 -0.3 -1.3
H -3.98930 2.37225 2.34926 1.2 0.3 -3.5
H -3.09173 -1.79405 0.59567 -1.1 6.9 -2.2
H -2.45887 -4.54804 0.60777 -1.2 1.0 -0.6
H -3.82819 -3.77950 -0.50425 1.4 0.1 1.4
H -1.68413 -4.10891 -1.66727 -0.4 -2.4 -2.2
H -0.51919 -2.51941 0.70461 -0.2 -2.6 -1.6
H 0.44649 -2.96331 -0.71761 -1.4 -0.6 0.0
H 0.70768 -3.94106 2.14837 -1.8 -0.5 0.9
H 1.98906 -4.02597 1.30111 -1.0 -0.7 -2.4
H 1.27191 -5.71266 1.57322 -1.2 3.0 -0.4
```
Positions in Å, forces in eV/Å.

Properties
strongest force on any atom	0.337	Eh/bohr
energy relative to the best compared isomer or geometry (same formula, charge and spin)	1987.5	kJ/mol
E_LUMO	-0.56	eV
Kohn-Sham gap	7.82	eV

=====

No. 2
2 unconnected molecules or ions with the total composition C2HNO2S, computed with the ωB97M-V functional and the def2-TZVPD basis.

The geometry in XYZ format:
```
7
Properties=species:S:1:pos:R:3:forces:R:3
C 0.24703 -0.91872 1.21993 -0.4 -1.0 -1.1
C -0.46992 0.35174 -1.42309 1.0 0.3 0.8
N 0.03598 -1.41914 0.18677 0.1 0.6 1.1
O -0.78916 -0.08355 -2.40914 -1.2 -1.8 -2.2
O -0.09937 1.16475 -0.66791 0.2 1.4 1.1
S 0.71541 1.52783 0.85587 0.3 0.9 0.3
H 0.36003 -0.62291 2.23757 0.0 -0.4 0.0
```
Positions in Å, forces in eV/Å.

Properties
strongest force on any atom	0.060	Eh/bohr
*/
Work order =
Next, count the lines further up that contain the word "spin" and give the number alone.
Here it is =
1